== Brief ==
Repeat the whole of the entries below unchanged.
== File ==
~~~
[1]
29
Properties=species:S:1:pos:R:3:forces:R:3 method="wB97M-V/def2-TZVPD" e_above_lowest_kcal_mol=36.9 energy_ev=-18532.2187 multiplicity=3 homo_lumo_gap_ev="6.75 / 9.28" s2=2.025 lumo_energy_ev="0.98 / -0.69"
C 2.540 -1.148 2.905 -0.64 -0.01 3.36
C 2.066 -2.110 -1.994 -1.49 1.12 0.28
C 2.299 2.533 -0.957 -0.13 2.30 -0.78
C 2.230 -1.302 1.663 0.61 0.87 -3.20
C 1.685 -0.930 -1.467 1.21 2.55 -0.14
C 2.471 1.788 0.138 -0.66 -1.75 -0.34
C -3.479 0.395 0.319 -2.21 0.28 0.14
C -1.647 0.273 -1.300 -2.72 1.10 -0.34
C -1.220 0.671 1.041 2.17 3.60 1.64
C -2.039 0.007 0.114 -0.45 -1.11 0.26
Si 2.015 -0.060 0.313 -0.21 -0.45 -2.45
H 2.504 -1.958 3.620 0.59 -0.49 -0.17
H 2.513 -0.222 3.423 0.17 1.06 0.11
H 1.846 -2.215 -3.044 0.34 -0.39 -0.29
H 2.322 -2.984 -1.438 0.38 -0.36 0.37
H 2.555 3.668 -1.084 -0.21 -2.23 0.82
H 1.789 2.206 -1.859 0.17 -0.47 0.12
H 2.346 -2.285 1.260 -0.56 -0.78 -0.33
H 1.456 -0.121 -2.297 0.18 -1.58 1.78
H 2.881 2.226 1.009 0.52 0.54 0.81
H -3.912 0.377 -0.674 -0.69 -0.43 -0.08
H -3.839 1.392 0.682 1.31 -0.51 0.03
H -3.966 -0.334 0.971 -0.19 0.05 -0.16
H -0.732 -0.138 -1.537 1.79 -1.14 -0.75
H -1.515 1.374 -1.319 -0.44 -0.36 -0.81
H -2.530 -0.134 -1.920 1.81 0.90 0.28
H -0.984 1.704 0.728 0.20 -0.31 0.23
H -1.056 0.565 2.111 -0.35 -0.77 -0.24
H -1.906 -1.028 0.342 -0.49 -1.22 -0.15


[2]
37
Properties=species:S:1:pos:R:3:forces:R:3 method="wB97M-V/def2-TZVPD" e_above_lowest_kcal_mol=13.6 energy_ev=-174666.5601 homo_lumo_gap_ev=3.46 lumo_energy_ev=-2.90
C -1.147 1.726 2.111 0.37 -0.70 -0.22
C -0.836 2.032 0.668 -0.26 -0.20 0.19
O -1.548 2.773 0.055 -0.14 0.62 -0.32
N 0.315 1.435 0.082 0.12 0.38 -1.45
C 0.862 2.178 -1.103 0.21 -0.64 0.54
C 0.187 0.028 -0.202 -0.31 -1.20 2.67
C -1.186 -0.510 -0.659 0.22 0.18 -1.38
C -1.883 0.284 -1.785 -0.33 0.16 -0.04
C -3.379 0.357 -1.492 0.29 -0.44 0.54
I -4.535 0.896 -3.180 -0.03 0.11 0.04
C 0.601 -0.773 1.090 -0.85 -0.04 -0.15
C 1.304 -2.052 0.606 0.66 1.01 1.17
Br 0.175 -3.589 0.389 -0.01 -0.08 -0.44
P 2.616 -2.569 1.904 -0.35 -1.21 0.52
N 2.130 -3.715 2.829 0.36 0.22 -0.08
C 1.834 -1.564 -0.689 -0.26 -0.51 0.28
N 1.261 -0.495 -1.088 0.82 0.06 -0.64
H -1.393 2.650 2.622 -0.09 0.01 0.01
H -0.318 1.220 2.598 0.01 0.14 0.21
H -2.007 1.053 2.117 -0.14 0.14 0.19
H 1.947 2.127 -1.038 0.01 0.12 -0.03
H 0.614 3.229 -1.083 -0.16 -0.04 0.00
H 0.567 1.718 -2.049 -0.30 0.36 -0.13
H -1.018 -1.516 -1.046 -0.07 -0.14 0.21
H -1.849 -0.641 0.195 0.13 0.31 0.20
H -1.773 -0.209 -2.752 0.27 -0.09 0.04
H -1.474 1.285 -1.881 -0.11 0.06 0.00
H -3.585 1.026 -0.659 -0.06 0.28 -0.22
H -3.714 -0.629 -1.171 -0.21 -0.02 -0.24
H -0.251 -0.966 1.736 -0.04 -0.20 -0.07
H 1.270 -0.132 1.664 0.29 -0.08 -0.20
H 2.804 -1.398 2.648 0.13 0.38 -0.56
H 3.761 -2.867 1.138 0.10 0.55 -0.13
H 2.710 -4.543 2.782 -0.28 -0.19 0.03
H 2.632 -2.066 -1.222 -0.14 0.16 -0.40
H 1.553 -0.077 -1.970 -0.25 0.38 0.09
Br 2.751 4.292 -2.165 0.37 0.16 -0.24


[3]
32
Properties=species:S:1:pos:R:3:forces:R:3 method="wB97M-V/def2-TZVPD" e_above_lowest_kcal_mol=0.0 energy_ev=-84249.2481 homo_lumo_gap_ev=8.40 total_charge=+1 lumo_energy_ev=-3.99
C -1.658 0.739 -0.946 -0.35 1.11 0.23
C -1.052 1.526 0.213 -1.05 0.06 0.94
C -2.869 0.215 -1.146 0.41 -0.19 -0.07
C 0.406 1.026 0.529 1.89 -0.08 1.79
C -0.371 -1.220 -0.112 1.85 0.43 1.10
C 0.863 0.804 2.017 -1.36 -1.26 -0.06
C 1.396 2.163 0.091 -5.33 1.90 -1.64
C -0.279 -2.250 -1.134 1.51 0.04 -3.60
C -1.373 -1.469 1.003 1.03 -0.42 -1.87
C 1.825 -0.416 -0.858 -0.65 1.29 -2.43
N 0.619 -0.318 -0.067 -1.62 -0.89 -0.89
O -0.767 0.825 -1.943 1.75 1.09 0.72
Br -4.109 0.130 0.236 -0.61 0.06 -0.08
H -0.918 2.549 -0.205 -0.38 -0.59 0.47
H -1.778 1.594 1.109 1.36 -0.23 -1.35
H -3.130 -0.206 -2.129 -0.09 0.22 0.68
H 0.648 1.705 2.593 0.77 -0.15 0.17
H 1.843 0.263 2.120 -0.31 1.58 -0.40
H 0.263 0.007 2.441 -0.71 0.06 0.29
H 0.985 2.654 -0.863 1.14 -1.08 0.76
H 2.422 2.143 0.103 2.25 -0.71 0.25
H 1.017 2.938 0.786 0.79 -0.17 0.00
H 0.411 -3.072 -1.062 0.61 -0.37 1.21
H 0.212 -1.839 -2.121 -1.36 -0.26 1.64
~~~
== Result ==
[1]
29
Properties=species:S:1:pos:R:3:forces:R:3 method="wB97M-V/def2-TZVPD" e_above_lowest_kcal_mol=36.9 energy_ev=-18532.2187 multiplicity=3 homo_lumo_gap_ev="6.75 / 9.28" s2=2.025 lumo_energy_ev="0.98 / -0.69"
C 2.540 -1.148 2.905 -0.64 -0.01 3.36
C 2.066 -2.110 -1.994 -1.49 1.12 0.28
C 2.299 2.533 -0.957 -0.13 2.30 -0.78
C 2.230 -1.302 1.663 0.61 0.87 -3.20
C 1.685 -0.930 -1.467 1.21 2.55 -0.14
C 2.471 1.788 0.138 -0.66 -1.75 -0.34
C -3.479 0.395 0.319 -2.21 0.28 0.14
C -1.647 0.273 -1.300 -2.72 1.10 -0.34
C -1.220 0.671 1.041 2.17 3.60 1.64
C -2.039 0.007 0.114 -0.45 -1.11 0.26
Si 2.015 -0.060 0.313 -0.21 -0.45 -2.45
H 2.504 -1.958 3.620 0.59 -0.49 -0.17
H 2.513 -0.222 3.423 0.17 1.06 0.11
H 1.846 -2.215 -3.044 0.34 -0.39 -0.29
H 2.322 -2.984 -1.438 0.38 -0.36 0.37
H 2.555 3.668 -1.084 -0.21 -2.23 0.82
H 1.789 2.206 -1.859 0.17 -0.47 0.12
H 2.346 -2.285 1.260 -0.56 -0.78 -0.33
H 1.456 -0.121 -2.297 0.18 -1.58 1.78
H 2.881 2.226 1.009 0.52 0.54 0.81
H -3.912 0.377 -0.674 -0.69 -0.43 -0.08
H -3.839 1.392 0.682 1.31 -0.51 0.03
H -3.966 -0.334 0.971 -0.19 0.05 -0.16
H -0.732 -0.138 -1.537 1.79 -1.14 -0.75
H -1.515 1.374 -1.319 -0.44 -0.36 -0.81
H -2.530 -0.134 -1.920 1.81 0.90 0.28
H -0.984 1.704 0.728 0.20 -0.31 0.23
H -1.056 0.565 2.111 -0.35 -0.77 -0.24
H -1.906 -1.028 0.342 -0.49 -1.22 -0.15


[2]
37
Properties=species:S:1:pos:R:3:forces:R:3 method="wB97M-V/def2-TZVPD" e_above_lowest_kcal_mol=13.6 energy_ev=-174666.5601 homo_lumo_gap_ev=3.46 lumo_energy_ev=-2.90
C -1.147 1.726 2.111 0.37 -0.70 -0.22
C -0.836 2.032 0.668 -0.26 -0.20 0.19
O -1.548 2.773 0.055 -0.14 0.62 -0.32
N 0.315 1.435 0.082 0.12 0.38 -1.45
C 0.862 2.178 -1.103 0.21 -0.64 0.54
C 0.187 0.028 -0.202 -0.31 -1.20 2.67
C -1.186 -0.510 -0.659 0.22 0.18 -1.38
C -1.883 0.284 -1.785 -0.33 0.16 -0.04
C -3.379 0.357 -1.492 0.29 -0.44 0.54
I -4.535 0.896 -3.180 -0.03 0.11 0.04
C 0.601 -0.773 1.090 -0.85 -0.04 -0.15
C 1.304 -2.052 0.606 0.66 1.01 1.17
Br 0.175 -3.589 0.389 -0.01 -0.08 -0.44
P 2.616 -2.569 1.904 -0.35 -1.21 0.52
N 2.130 -3.715 2.829 0.36 0.22 -0.08
C 1.834 -1.564 -0.689 -0.26 -0.51 0.28
N 1.261 -0.495 -1.088 0.82 0.06 -0.64
H -1.393 2.650 2.622 -0.09 0.01 0.01
H -0.318 1.220 2.598 0.01 0.14 0.21
H -2.007 1.053 2.117 -0.14 0.14 0.19
H 1.947 2.127 -1.038 0.01 0.12 -0.03
H 0.614 3.229 -1.083 -0.16 -0.04 0.00
H 0.567 1.718 -2.049 -0.30 0.36 -0.13
H -1.018 -1.516 -1.046 -0.07 -0.14 0.21
H -1.849 -0.641 0.195 0.13 0.31 0.20
H -1.773 -0.209 -2.752 0.27 -0.09 0.04
H -1.474 1.285 -1.881 -0.11 0.06 0.00
H -3.585 1.026 -0.659 -0.06 0.28 -0.22
H -3.714 -0.629 -1.171 -0.21 -0.02 -0.24
H -0.251 -0.966 1.736 -0.04 -0.20 -0.07
H 1.270 -0.132 1.664 0.29 -0.08 -0.20
H 2.804 -1.398 2.648 0.13 0.38 -0.56
H 3.761 -2.867 1.138 0.10 0.55 -0.13
H 2.710 -4.543 2.782 -0.28 -0.19 0.03
H 2.632 -2.066 -1.222 -0.14 0.16 -0.40
H 1.553 -0.077 -1.970 -0.25 0.38 0.09
Br 2.751 4.292 -2.165 0.37 0.16 -0.24


[3]
32
Properties=species:S:1:pos:R:3:forces:R:3 method="wB97M-V/def2-TZVPD" e_above_lowest_kcal_mol=0.0 energy_ev=-84249.2481 homo_lumo_gap_ev=8.40 total_charge=+1 lumo_energy_ev=-3.99
C -1.658 0.739 -0.946 -0.35 1.11 0.23
C -1.052 1.526 0.213 -1.05 0.06 0.94
C -2.869 0.215 -1.146 0.41 -0.19 -0.07
C 0.406 1.026 0.529 1.89 -0.08 1.79
C -0.371 -1.220 -0.112 1.85 0.43 1.10
C 0.863 0.804 2.017 -1.36 -1.26 -0.06
C 1.396 2.163 0.091 -5.33 1.90 -1.64
C -0.279 -2.250 -1.134 1.51 0.04 -3.60
C -1.373 -1.469 1.003 1.03 -0.42 -1.87
C 1.825 -0.416 -0.858 -0.65 1.29 -2.43
N 0.619 -0.318 -0.067 -1.62 -0.89 -0.89
O -0.767 0.825 -1.943 1.75 1.09 0.72
Br -4.109 0.130 0.236 -0.61 0.06 -0.08
H -0.918 2.549 -0.205 -0.38 -0.59 0.47
H -1.778 1.594 1.109 1.36 -0.23 -1.35
H -3.130 -0.206 -2.129 -0.09 0.22 0.68
H 0.648 1.705 2.593 0.77 -0.15 0.17
H 1.843 0.263 2.120 -0.31 1.58 -0.40
H 0.263 0.007 2.441 -0.71 0.06 0.29
H 0.985 2.654 -0.863 1.14 -1.08 0.76
H 2.422 2.143 0.103 2.25 -0.71 0.25
H 1.017 2.938 0.786 0.79 -0.17 0.00
H 0.411 -3.072 -1.062 0.61 -0.37 1.21
H 0.212 -1.839 -2.121 -1.36 -0.26 1.64